-- Material --
'''
# 1
Computed powder XRD pattern of PrEu2SbO6 for a wavelength of 1.5418 Å, from a PBE-relaxed structure.
Peak positions follow from Bragg's law for the DFT cell and can differ from measured ones.

Structural model:
Cell: 8.5979 8.5979 8.5979 Å, 90.00 90.00 90.00°
Space group Fm-3m (No. 225)
One atom of each set of equivalent atoms:
Pr (0.0000, 0.0000, 0.0000)
Eu (0.2500, 0.2500, 0.2500)
Sb (0.0000, 0.0000, 0.5000)
O (0.0000, 0.0000, 0.2681)

Top 8 peaks for 2θ = 10–80°, by intensity:
two_theta, I/Imax
29.4, 100
52.1, 41
42.0, 29
69.1, 18
61.0, 18
76.8, 6
36.2, 3
73.0, 1

=====

# 2
Computed powder XRD pattern of PtRhBr4N5Cl for a wavelength of 1.5418 Å, from a PBE-relaxed structure.
Peak positions follow from Bragg's law for the DFT cell and can differ from measured ones.

Structural model:
Cell: 16.5589 9.6719 7.7026 Å, 90.00 90.00 90.00°
Space group Pnma (No. 62)
One atom of each set of equivalent atoms:
Pt (0.2477, 0.2500, 0.0885)
Rh (0.1440, 0.7500, 0.1820)
Br (0.0148, 0.7500, 0.4275)
Br (0.1523, 0.2500, 0.3288)
Br (0.2233, 0.0012, 0.6528)
N (0.0626, 0.6083, 0.3343)
N (0.1818, 0.5869, 0.0696)
N (0.2171, 0.7500, 0.3653)
Cl (0.0429, 0.7500, 0.9613)

Top 12 peaks for 2θ = 10–80°, by intensity:
two_theta, I/Imax
10.7, 100
15.7, 41
18.3, 38
23.7, 37
21.8, 33
24.2, 31
28.3, 28
30.8, 27
37.2, 25
18.2, 22
36.9, 21
29.8, 20

=====

# 3
Computed powder XRD pattern of Mg3ZnH24C8O24 for a wavelength of 1.5418 Å, from a PBE-relaxed structure.
Peak positions follow from Bragg's law for the DFT cell and can differ from measured ones.

Structural model:
Cell: 7.3032 8.8419 9.4929 Å, 97.47 90.09 90.07°
Space group P-1 (No. 2)
One atom of each set of equivalent atoms:
Mg (0.0000, 0.0000, 0.0000)
Mg (0.0000, 0.5000, 0.5000)
Mg (0.5000, 0.0000, 0.5000)
Zn (0.5000, 0.5000, 0.0000)
H (0.0179, 0.3272, 0.8980)
H (0.0971, 0.7618, 0.4496)
H (0.1011, 0.3072, 0.2685)
H (0.1152, 0.2154, 0.5122)
H (0.1472, 0.4717, 0.2267)
H (0.2030, 0.9326, 0.7233)
H (0.2970, 0.9326, 0.2232)
H (0.3529, 0.4722, 0.7258)
H (0.3850, 0.2169, 0.0108)
H (0.3994, 0.3060, 0.7672)
H (0.4024, 0.7609, 0.9504)
H (0.4834, 0.3286, 0.3976)
C (0.1223, 0.6779, 0.0595)
C (0.2295, 0.0377, 0.2727)
C (0.2706, 0.0379, 0.7728)
C (0.3770, 0.6778, 0.5592)
O (0.0266, 0.2842, 0.5673)
O (0.1032, 0.4168, 0.3045)
O (0.1100, 0.0985, 0.2002)
O (0.1642, 0.7950, 0.0001)
O (0.2225, 0.0903, 0.8986)
O (0.2270, 0.5673, 0.0757)
O (0.2692, 0.5685, 0.5732)
O (0.2776, 0.0899, 0.3986)
O (0.3376, 0.7959, 0.5002)
O (0.3899, 0.0989, 0.7006)
O (0.3939, 0.4156, 0.8034)
O (0.4731, 0.2822, 0.0707)

Top 12 peaks for 2θ = 10–80°, by intensity:
two_theta, I/Imax
17.7, 100
19.1, 62
25.7, 50
20.2, 47
18.9, 44
33.9, 40
33.2, 29
38.2, 28
23.7, 27
26.2, 25
26.4, 16
42.9, 15

=====

Repeat the third record exactly.
Computed powder XRD pattern of Mg3ZnH24C8O24 for a wavelength of 1.5418 Å, from a PBE-relaxed structure.
Peak positions follow from Bragg's law for the DFT cell and can differ from measured ones.

Structural model:
Cell: 7.3032 8.8419 9.4929 Å, 97.47 90.09 90.07°
Space group P-1 (No. 2)
One atom of each set of equivalent atoms:
Mg (0.0000, 0.0000, 0.0000)
Mg (0.0000, 0.5000, 0.5000)
Mg (0.5000, 0.0000, 0.5000)
Zn (0.5000, 0.5000, 0.0000)
H (0.0179, 0.3272, 0.8980)
H (0.0971, 0.7618, 0.4496)
H (0.1011, 0.3072, 0.2685)
H (0.1152, 0.2154, 0.5122)
H (0.1472, 0.4717, 0.2267)
H (0.2030, 0.9326, 0.7233)
H (0.2970, 0.9326, 0.2232)
H (0.3529, 0.4722, 0.7258)
H (0.3850, 0.2169, 0.0108)
H (0.3994, 0.3060, 0.7672)
H (0.4024, 0.7609, 0.9504)
H (0.4834, 0.3286, 0.3976)
C (0.1223, 0.6779, 0.0595)
C (0.2295, 0.0377, 0.2727)
C (0.2706, 0.0379, 0.7728)
C (0.3770, 0.6778, 0.5592)
O (0.0266, 0.2842, 0.5673)
O (0.1032, 0.4168, 0.3045)
O (0.1100, 0.0985, 0.2002)
O (0.1642, 0.7950, 0.0001)
O (0.2225, 0.0903, 0.8986)
O (0.2270, 0.5673, 0.0757)
O (0.2692, 0.5685, 0.5732)
O (0.2776, 0.0899, 0.3986)
O (0.3376, 0.7959, 0.5002)
O (0.3899, 0.0989, 0.7006)
O (0.3939, 0.4156, 0.8034)
O (0.4731, 0.2822, 0.0707)
'''

-- Brief --
Your job: say how many lines of the data earlier on hold the word "equivalent", as a bare number.

-- Result --
4